What is needed: search the material further down for the word "formula" and repeat each line that has it.
........
{
  "formula": "C23H29N3O3",
  "method": "wB97M-V/def2-TZVPD",
  "e_tot_ev": -34934.693,
  "lumo_energy_ev": 0.40,
  "symbols": ["C", "C", "C", "N", "C", "O", "C", "C", "C", "C", "N", "C", "O", "C", "C", "N", "C", "O", "C", "C", "C", "C", "C", "C", "C", "C", "C", "C", "C", "H", "H", "H", "H", "H", "H", "H", "H", "H", "H", "H", "H", "H", "H", "H", "H", "H", "H", "H", "H", "H", "H", "H", "H", "H", "H", "H", "H", "H"],
  "xyz": [[3.96079, -0.71161, 0.71175], [3.10003, -1.82869, 0.14971], [2.33913, -1.45075, -1.12079], [1.29972, -2.46788, -1.19049], [0.61944, -2.85570, -2.29653], [-0.10132, -3.84015, -2.29162], [0.83902, -2.00890, -3.53818], [-0.13212, -2.38840, -4.64461], [-1.59167, -2.00295, -4.37236], [-1.79686, -0.67148, -5.11736], [-0.77411, -0.72134, -6.14734], [0.23109, -1.60715, -5.90258], [1.25167, -1.72060, -6.54907], [1.19328, -3.23040, 0.05281], [1.97778, -2.38321, 1.05057], [1.21509, -1.27256, 1.60802], [-0.13031, -1.15105, 1.79975], [-0.96076, -2.01291, 1.58862], [-0.54273, 0.21224, 2.26762], [-1.47842, 1.17604, 1.49890], [-1.14842, 1.89415, 2.84023], [-1.62533, 3.22282, 3.29305], [-0.72777, 4.23127, 3.62092], [-1.18318, 5.47196, 4.04664], [-2.54353, 5.71509, 4.14808], [-3.44771, 4.71251, 3.82167], [-2.99119, 3.47585, 3.39726], [0.32175, 1.44960, 2.63055], [-1.39010, 0.51588, 3.52479], [3.39239, 0.20909, 0.86495], [4.41789, -0.99986, 1.66016], [4.76632, -0.46920, 0.01781], [3.74280, -2.68394, -0.08006], [1.90991, -0.44627, -1.01911], [2.97946, -1.46210, -2.00289], [0.74522, -0.94777, -3.28198], [1.86366, -2.14915, -3.89573], [-0.02825, -3.45233, -4.84871], [-2.25512, -2.76186, -4.78463], [-1.81334, -1.92273, -3.31019], [-2.79223, -0.59030, -5.55330], [-1.64848, 0.18902, -4.45675], [-0.68092, -0.04011, -6.88127], [0.15499, -3.38021, 0.32255], [1.67668, -4.20733, -0.04510], [2.37821, -3.00732, 1.85423], [1.75608, -0.47471, 1.89268], [-1.07142, 1.63374, 0.59584], [-2.50418, 0.83564, 1.36404], [0.33649, 4.04283, 3.54162], [-0.47418, 6.25005, 4.29935], [-2.90004, 6.68160, 4.47969], [-4.51153, 4.89755, 3.89893], [-3.69889, 2.69500, 3.14317], [0.93330, 1.37223, 3.53242], [0.85524, 1.93475, 1.80945], [-2.41085, 0.13667, 3.51410], [-0.90243, 0.36534, 4.48873]]
}
........
  "formula": "C23H29N3O3",